Source:
┌──
The following is a DFT calculation (PBE-GGA) of an optimized crystal structure of Ba2TaCo.

Values from the calculation:
As for the total moment: 0.50 μB per formula unit. Its space group is I-42d, No. 122. Its formation energy from the elements is 0.8487 eV per atom. The value obtained for the energy above the most stable polymorph in this dataset is 467.4 meV/atom. The value obtained for the energy is -4.85 eV per atom.

a = 11.970 Å, b = 11.970 Å, c = 8.761 Å
α = 46.91°, β = 46.91°, γ = 90.00°
Each line ends with the local moment (μB).
Fractional positions:
Ta 0.750 0.250 0.500  0.31
Co 0.250 0.750 0.500  -0.07
Ba 0.300 0.625 0.250  0.01
Ta 0.000 0.000 0.000  0.31
Ba 0.875 0.700 0.750  0.02
Ba 0.450 0.125 0.250  0.01
Co 0.500 0.500 0.000  -0.07
Ba 0.375 0.550 0.750  0.02
└──

Work order:
Please write out all of the notes earlier on unchanged.

Worked solution:
The following is a DFT calculation (PBE-GGA) of an optimized crystal structure of Ba2TaCo.

Values from the calculation:
As for the total moment: 0.50 μB per formula unit. Its space group is I-42d, No. 122. Its formation energy from the elements is 0.8487 eV per atom. The value obtained for the energy above the most stable polymorph in this dataset is 467.4 meV/atom. The value obtained for the energy is -4.85 eV per atom.

a = 11.970 Å, b = 11.970 Å, c = 8.761 Å
α = 46.91°, β = 46.91°, γ = 90.00°
Each line ends with the local moment (μB).
Fractional positions:
Ta 0.750 0.250 0.500  0.31
Co 0.250 0.750 0.500  -0.07
Ba 0.300 0.625 0.250  0.01
Ta 0.000 0.000 0.000  0.31
Ba 0.875 0.700 0.750  0.02
Ba 0.450 0.125 0.250  0.01
Co 0.500 0.500 0.000  -0.07
Ba 0.375 0.550 0.750  0.02